# Assignment
Echo everything underneath verbatim.

# Listing
-- begin --
No. 1
10
Properties=species:S:1:pos:R:3:forces:R:3 method="wB97M-V/def2-TZVPD" lumo_ha=0.02315 smiles=CN.S
S -2.2687 0.5019 1.0198 1.47 1.86 -1.90
H -3.4687 0.3193 1.4762 -0.57 -1.15 1.14
C 0.9519 -0.3721 -1.0056 -1.33 -0.31 -0.04
N 0.6222 0.1204 0.3658 -1.61 -1.33 -1.71
H 0.6130 -1.4093 -1.0394 0.71 -0.12 -0.13
H 0.2800 0.1113 -1.7294 0.37 0.19 0.30
H 2.0057 -0.1922 -1.2797 -0.50 -0.35 0.17
H -0.7721 0.1207 0.9229 -0.02 -1.04 0.16
H 0.7602 1.0698 0.2941 0.43 2.79 0.52
H 1.2766 -0.2698 0.9753 1.05 -0.55 1.49

***

No. 2
65
Properties=species:S:1:pos:R:3:forces:R:3 method="wB97M-V/def2-TZVPD" lumo_ha=-0.01048 smiles="ClC(Cl)(Cl)Cl.CN(C)C=O.CN(C)C=O.CN(C)C=O.ClCCCl.ClCCCl.ClCCCl"
Cl -4.9413 -0.5472 2.1033 0.36 0.78 -0.51
C -4.8520 -0.2562 0.3053 1.14 1.05 0.97
C -5.7689 -1.2235 -0.2962 -0.18 -0.72 -0.72
Cl -7.4426 -0.6609 -0.1786 -0.43 0.10 -0.16
H -3.8140 -0.3108 -0.0230 0.10 -0.95 0.26
H -5.0440 0.7725 0.0004 -0.75 0.11 0.67
H -5.7375 -2.1547 0.2694 0.14 -0.08 -0.50
H -5.4876 -1.3409 -1.3427 -0.36 -0.29 -0.04
Cl -3.6429 5.7895 6.2387 0.65 1.51 -0.23
C -2.7119 7.4135 6.2520 0.47 -1.18 -0.11
C -3.5132 8.6498 5.9387 -0.19 -0.21 -0.20
Cl -4.7501 8.8512 7.1794 -0.31 0.45 0.36
H -1.8577 7.3178 5.5816 -0.33 -0.21 -0.42
H -2.2385 7.4252 7.2337 -0.51 0.30 0.12
H -4.0395 8.6818 4.9847 0.12 -0.64 -0.01
H -2.8550 9.5171 5.8875 0.11 -0.01 0.50
Cl -1.6993 1.1398 -6.6112 -0.31 0.07 0.42
C -3.4163 1.6304 -6.6408 -1.11 0.53 0.67
C -4.2696 1.1893 -5.4099 1.18 -1.54 -0.76
Cl -5.8263 1.9974 -5.2968 -0.12 0.49 -0.14
H -3.7927 1.2300 -7.5822 -0.26 0.18 0.26
H -3.5219 2.7147 -6.6047 0.59 0.04 -0.54
H -3.7115 1.3023 -4.4805 -0.09 0.22 -0.12
H -4.5152 0.1346 -5.5345 0.15 -0.02 0.24
C 0.0002 -6.1310 0.5373 0.14 -1.19 -0.27
O 0.5183 -7.1226 0.0099 -0.47 1.52 0.81
N 0.5957 -5.2038 1.3128 1.60 -0.99 -1.15
C -0.0733 -4.1467 1.9398 -1.36 0.73 -0.32
C 1.9528 -5.3449 1.7746 0.08 -1.09 -1.34
H -1.0817 -5.9326 0.4897 -0.09 0.00 -0.40
H -0.4876 -4.6344 2.8221 -0.32 1.37 0.67
H -0.8129 -3.6963 1.2778 -0.65 -0.48 0.16
H 0.5936 -3.2898 2.0353 0.22 -0.30 0.90
H 2.3211 -6.2415 1.2762 0.28 -0.06 0.21
H 2.5189 -4.5047 1.3725 0.30 0.11 0.66
H 1.9698 -5.5038 2.8528 0.27 0.41 0.04
C 7.9678 0.8656 1.8897 0.86 1.41 -0.82
O 8.2482 1.8420 1.1673 -1.02 -1.68 1.28
N 7.0350 0.8601 2.8758 0.81 -2.58 -0.21
C 6.8413 -0.2665 3.8320 0.41 0.78 -0.87
C 6.1012 1.8949 2.9186 -0.67 2.46 0.69
H 8.5214 -0.0774 1.7608 -0.06 -0.05 0.31
H 7.7575 -0.8453 3.9493 -0.09 -0.09 -0.39
H 6.0085 -0.8731 3.4762 0.04 -0.22 0.31
H 6.6441 0.1369 4.8252 -0.24 0.10 -0.11
H 6.6251 2.7288 3.3857 -0.37 0.60 0.04
H 5.7550 2.2582 1.9509 0.18 -0.32 -0.17
H 5.2294 1.6937 3.5412 0.13 -0.42 -0.06
C -0.9190 -3.0478 -4.1945 1.81 -0.57 -2.89
O -1.3900 -2.4164 -3.3239 -2.03 1.14 2.87
N 0.3711 -2.9188 -4.5743 1.78 0.53 -0.41
C 0.8849 -3.4089 -5.8400 -0.83 -1.16 -0.15
C 1.3596 -2.1717 -3.7854 -0.65 -0.58 1.01
H -1.4176 -3.7333 -4.8972 -0.56 -0.14 0.23
H 1.3315 -2.6462 -6.4780 0.32 0.08 0.42
H 0.0996 -3.8419 -6.4595 -0.53 0.26 0.15
H 1.5040 -4.2926 -5.6854 0.75 0.36 0.02
H 1.6420 -1.2026 -4.1969 0.10 -0.21 -0.29
H 0.9991 -1.9964 -2.7718 -0.62 0.22 -0.21
H 2.2024 -2.8230 -3.5539 0.42 0.10 -0.72
C 0.3806 3.3983 0.1001 0.39 -0.12 -0.30
Cl 1.9445 3.5392 -0.7995 -0.86 0.56 0.17
Cl -1.0522 3.7624 -0.9681 1.18 0.19 0.91
Cl 0.2978 1.7219 0.5633 -0.41 -0.72 0.20
Cl 0.4614 4.3491 1.6179 -0.31 0.08 -0.98

***

No. 3
44
Properties=species:S:1:pos:R:3:forces:R:3 method="wB97M-V/def2-TZVPD" lumo_ha=0.08393 total_charge=-1
N 2.5768 2.3734 -1.1178 -0.13 -0.01 -0.10
C 1.8093 1.1482 -1.4979 0.10 0.01 0.44
C 0.8821 0.6791 -0.3804 0.00 0.49 -0.51
C -0.0272 1.7910 0.0514 -0.01 -0.32 0.48
C -1.0194 2.2759 -1.0124 0.26 1.43 -0.26
O -1.0805 3.3145 -1.5807 0.11 -0.76 0.17
I -2.3479 0.6269 -1.8116 -0.34 -0.45 -0.13
H 3.5514 2.1303 -1.0062 0.06 0.01 0.07
H 2.5367 3.0542 -1.8645 0.02 0.02 -0.05
H 1.3122 1.3422 -2.4675 -0.07 0.18 0.00
H 2.5206 0.3539 -1.6887 0.00 -0.18 -0.30
H 0.2921 -0.1620 -0.7607 0.13 -0.26 0.30
-- stop --

# Done
No. 1
10
Properties=species:S:1:pos:R:3:forces:R:3 method="wB97M-V/def2-TZVPD" lumo_ha=0.02315 smiles=CN.S
S -2.2687 0.5019 1.0198 1.47 1.86 -1.90
H -3.4687 0.3193 1.4762 -0.57 -1.15 1.14
C 0.9519 -0.3721 -1.0056 -1.33 -0.31 -0.04
N 0.6222 0.1204 0.3658 -1.61 -1.33 -1.71
H 0.6130 -1.4093 -1.0394 0.71 -0.12 -0.13
H 0.2800 0.1113 -1.7294 0.37 0.19 0.30
H 2.0057 -0.1922 -1.2797 -0.50 -0.35 0.17
H -0.7721 0.1207 0.9229 -0.02 -1.04 0.16
H 0.7602 1.0698 0.2941 0.43 2.79 0.52
H 1.2766 -0.2698 0.9753 1.05 -0.55 1.49

***

No. 2
65
Properties=species:S:1:pos:R:3:forces:R:3 method="wB97M-V/def2-TZVPD" lumo_ha=-0.01048 smiles="ClC(Cl)(Cl)Cl.CN(C)C=O.CN(C)C=O.CN(C)C=O.ClCCCl.ClCCCl.ClCCCl"
Cl -4.9413 -0.5472 2.1033 0.36 0.78 -0.51
C -4.8520 -0.2562 0.3053 1.14 1.05 0.97
C -5.7689 -1.2235 -0.2962 -0.18 -0.72 -0.72
Cl -7.4426 -0.6609 -0.1786 -0.43 0.10 -0.16
H -3.8140 -0.3108 -0.0230 0.10 -0.95 0.26
H -5.0440 0.7725 0.0004 -0.75 0.11 0.67
H -5.7375 -2.1547 0.2694 0.14 -0.08 -0.50
H -5.4876 -1.3409 -1.3427 -0.36 -0.29 -0.04
Cl -3.6429 5.7895 6.2387 0.65 1.51 -0.23
C -2.7119 7.4135 6.2520 0.47 -1.18 -0.11
C -3.5132 8.6498 5.9387 -0.19 -0.21 -0.20
Cl -4.7501 8.8512 7.1794 -0.31 0.45 0.36
H -1.8577 7.3178 5.5816 -0.33 -0.21 -0.42
H -2.2385 7.4252 7.2337 -0.51 0.30 0.12
H -4.0395 8.6818 4.9847 0.12 -0.64 -0.01
H -2.8550 9.5171 5.8875 0.11 -0.01 0.50
Cl -1.6993 1.1398 -6.6112 -0.31 0.07 0.42
C -3.4163 1.6304 -6.6408 -1.11 0.53 0.67
C -4.2696 1.1893 -5.4099 1.18 -1.54 -0.76
Cl -5.8263 1.9974 -5.2968 -0.12 0.49 -0.14
H -3.7927 1.2300 -7.5822 -0.26 0.18 0.26
H -3.5219 2.7147 -6.6047 0.59 0.04 -0.54
H -3.7115 1.3023 -4.4805 -0.09 0.22 -0.12
H -4.5152 0.1346 -5.5345 0.15 -0.02 0.24
C 0.0002 -6.1310 0.5373 0.14 -1.19 -0.27
O 0.5183 -7.1226 0.0099 -0.47 1.52 0.81
N 0.5957 -5.2038 1.3128 1.60 -0.99 -1.15
C -0.0733 -4.1467 1.9398 -1.36 0.73 -0.32
C 1.9528 -5.3449 1.7746 0.08 -1.09 -1.34
H -1.0817 -5.9326 0.4897 -0.09 0.00 -0.40
H -0.4876 -4.6344 2.8221 -0.32 1.37 0.67
H -0.8129 -3.6963 1.2778 -0.65 -0.48 0.16
H 0.5936 -3.2898 2.0353 0.22 -0.30 0.90
H 2.3211 -6.2415 1.2762 0.28 -0.06 0.21
H 2.5189 -4.5047 1.3725 0.30 0.11 0.66
H 1.9698 -5.5038 2.8528 0.27 0.41 0.04
C 7.9678 0.8656 1.8897 0.86 1.41 -0.82
O 8.2482 1.8420 1.1673 -1.02 -1.68 1.28
N 7.0350 0.8601 2.8758 0.81 -2.58 -0.21
C 6.8413 -0.2665 3.8320 0.41 0.78 -0.87
C 6.1012 1.8949 2.9186 -0.67 2.46 0.69
H 8.5214 -0.0774 1.7608 -0.06 -0.05 0.31
H 7.7575 -0.8453 3.9493 -0.09 -0.09 -0.39
H 6.0085 -0.8731 3.4762 0.04 -0.22 0.31
H 6.6441 0.1369 4.8252 -0.24 0.10 -0.11
H 6.6251 2.7288 3.3857 -0.37 0.60 0.04
H 5.7550 2.2582 1.9509 0.18 -0.32 -0.17
H 5.2294 1.6937 3.5412 0.13 -0.42 -0.06
C -0.9190 -3.0478 -4.1945 1.81 -0.57 -2.89
O -1.3900 -2.4164 -3.3239 -2.03 1.14 2.87
N 0.3711 -2.9188 -4.5743 1.78 0.53 -0.41
C 0.8849 -3.4089 -5.8400 -0.83 -1.16 -0.15
C 1.3596 -2.1717 -3.7854 -0.65 -0.58 1.01
H -1.4176 -3.7333 -4.8972 -0.56 -0.14 0.23
H 1.3315 -2.6462 -6.4780 0.32 0.08 0.42
H 0.0996 -3.8419 -6.4595 -0.53 0.26 0.15
H 1.5040 -4.2926 -5.6854 0.75 0.36 0.02
H 1.6420 -1.2026 -4.1969 0.10 -0.21 -0.29
H 0.9991 -1.9964 -2.7718 -0.62 0.22 -0.21
H 2.2024 -2.8230 -3.5539 0.42 0.10 -0.72
C 0.3806 3.3983 0.1001 0.39 -0.12 -0.30
Cl 1.9445 3.5392 -0.7995 -0.86 0.56 0.17
Cl -1.0522 3.7624 -0.9681 1.18 0.19 0.91
Cl 0.2978 1.7219 0.5633 -0.41 -0.72 0.20
Cl 0.4614 4.3491 1.6179 -0.31 0.08 -0.98

***

No. 3
44
Properties=species:S:1:pos:R:3:forces:R:3 method="wB97M-V/def2-TZVPD" lumo_ha=0.08393 total_charge=-1
N 2.5768 2.3734 -1.1178 -0.13 -0.01 -0.10
C 1.8093 1.1482 -1.4979 0.10 0.01 0.44
C 0.8821 0.6791 -0.3804 0.00 0.49 -0.51
C -0.0272 1.7910 0.0514 -0.01 -0.32 0.48
C -1.0194 2.2759 -1.0124 0.26 1.43 -0.26
O -1.0805 3.3145 -1.5807 0.11 -0.76 0.17
I -2.3479 0.6269 -1.8116 -0.34 -0.45 -0.13
H 3.5514 2.1303 -1.0062 0.06 0.01 0.07
H 2.5367 3.0542 -1.8645 0.02 0.02 -0.05
H 1.3122 1.3422 -2.4675 -0.07 0.18 0.00
H 2.5206 0.3539 -1.6887 0.00 -0.18 -0.30
H 0.2921 -0.1620 -0.7607 0.13 -0.26 0.30